Feeling Upset? 3 Quick Tips for Getting Happier

This blog answers emails from readers. Today’s email comes from Jennifer in Kansas City.

Jenifer asks:Dear Ellen Anmuth, Psychotherapist: I find myself feeling upset lately. Do you have any advice? Thanks very much.

Ellen Anmuth, MS, MSW, LCSW, Psychotherapist replies:

Dear Jennifer: Your question is universal. “Getting Upset” is a common phenomenon. By “upset”, do you mean  that you feel angry, sad, or afraid? Do you experience behavioral changes, such as sleep disturbances, over-eating, not eating enough, yelling at other people, using drugs or alcohol? Here are 3 tips for dealing with “feeling upset”.

Tip #1: Look inward, and try to name your feelings. By “Upset”, do you mean that you feel sad, angry, afraid, or all  3? Sometimes, when people feel angry, it could be that they are feeling sad, and are not allowing those feelings to be acknowledged. Similarly, people can feel sad, when they are denying feelings of anger. There is an expression, “what we resist, persists”. One way to manage “upset feelings” is to isolate the feelings, and connect with them. By allowing our true feelings to be expressed, we gain some control over them.

Tip # 2: Notice what events may have occurred in your life in the past year. Did someone you love get ill, or die? Have you had a relationship breakup? Are you having financial problems? Is your health changing? Some of us try to cope with sadness or loss by minimizing these events. It is better to acknowledge the events, and work the feelings of loss through with a friend or a licensed psychotherapist.

Tip #3: Look back to your family of origin history and your childhood. In adulthood, seemingly benign events may trigger unresolved issues of childhood. For example, if you had a very controlling mother or father, a boss at work may trigger some unresolved feelings from years ago. Feelings of helplessness or powerlessness in the workplace could result in depression, anxiety or anger.

____________
DFT (GGA+U) results for a relaxed structure of Na10W13O39.

Properties
Energy with MP2020 corrections = -509.3 eV per cell
Raw total energy = -6.851 eV per atom
M_tot = 10.00 μB/f.u.
Formation energy = -2.1714 eV per atom

```
data_Na10W13O39
_chemical_formula_sum 'Na10 W13 O39'
_symmetry_space_group_name_H-M 'P -1'
_symmetry_Int_Tables_number 2
_symmetry_space_group_name_Hall '-P 1'
_cell_length_a 6.8581
_cell_length_b 8.8348
_cell_length_c 14.2404
_cell_angle_alpha 75.82
_cell_angle_beta 80.78
_cell_angle_gamma 75.01
loop_
_atom_site_label
_atom_site_fract_x
_atom_site_fract_y
_atom_site_fract_z
Na1 0.0388 0.2298 0.1534
Na2 0.1164 0.6925 0.4614
Na3 0.1935 0.1540 0.7697
Na4 0.2701 0.6170 0.0773
Na5 0.3465 0.0774 0.3849
W1 0.0000 0.0000 0.0000
W2 0.0776 0.4598 0.3081
W3 0.1561 0.9228 0.6155
W4 0.2303 0.3841 0.9223
W5 0.3100 0.8457 0.2291
W6 0.3877 0.3115 0.5389
W7 0.4612 0.7695 0.8466
O1 0.0000 0.0000 0.5000
O2 0.0000 0.5000 0.0000
O3 0.0325 0.7279 0.6547
O4 0.0707 0.4616 0.8072
O5 0.0716 0.9647 0.3097
O6 0.1135 0.2010 0.9600
O7 0.1463 0.4236 0.6148
O8 0.1491 0.9205 0.1173
O9 0.1885 0.6562 0.2690
O10 0.2238 0.8846 0.9243
O11 0.2252 0.3865 0.4231
O12 0.2705 0.1176 0.5765
O13 0.2996 0.3482 0.2319
O14 0.3141 0.8457 0.7345
O15 0.3415 0.5727 0.8890
O16 0.3834 0.8101 0.5390
O17 0.3861 0.3111 0.0410
O18 0.4190 0.0349 0.1956
O19 0.4578 0.2720 0.8471
O20 0.4618 0.7706 0.3486
O21 0.5000 0.5000 0.5000
```

***

DFT (GGA+U) results for a relaxed structure of Na9W13O39.

Properties
Energy with MP2020 corrections = -505.0 eV per cell
Raw total energy = -6.893 eV per atom
M_tot = 9.00 μB/f.u.
Formation energy = -2.1579 eV per atom

```
data_Na9W13O39
_chemical_formula_sum 'Na9 W13 O39'
_symmetry_space_group_name_H-M 'P 1'
_symmetry_Int_Tables_number 1
_symmetry_space_group_name_Hall 'P 1'
_cell_length_a 5.5442
_cell_length_b 11.7597
_cell_length_c 13.0028
_cell_angle_alpha 72.45
_cell_angle_beta 90.00
_cell_angle_gamma 76.37
loop_
_atom_site_label
_atom_site_fract_x
_atom_site_fract_y
_atom_site_fract_z
Na1 0.0000 0.0000 0.0000
Na2 0.0740 0.8530 0.7644
Na3 0.1513 0.6963 0.5355
Na4 0.2264 0.5420 0.3003
Na5 0.3854 0.2365 0.8418
Na6 0.5358 0.9260 0.3785
Na7 0.6915 0.6139 0.9228
Na8 0.8367 0.3095 0.4618
Na9 0.9242 0.1590 0.2259
W1 0.0729 0.8484 0.2647
W2 0.1499 0.6940 0.0367
W3 0.2283 0.5404 0.8050
W4 0.3042 0.3863 0.5760
W5 0.3791 0.2347 0.3431
W6 0.4566 0.0814 0.1112
W7 0.5351 0.9260 0.8815
W8 0.6122 0.7719 0.6509
W9 0.6887 0.6169 0.4204
W10 0.7637 0.4653 0.1874
W11 0.8412 0.3133 0.9572
W12 0.9191 0.1578 0.7267
W13 0.9946 0.0044 0.4978
O1 0.0319 0.9278 0.3803
O2 0.0366 0.4260 0.8814
O3 0.0694 0.3485 0.2678
O4 0.1116 0.2720 0.6512
O5 0.1126 0.7722 0.1510
O6 0.1465 0.1933 0.0348
O7 0.1839 0.1196 0.4185
O8 0.1872 0.6201 0.9191
O9 0.2261 0.0411 0.8059
O10 0.2631 0.9661 0.1893
O11 0.2661 0.4644 0.6896
O12 0.3016 0.8857 0.5731
O13 0.3393 0.8112 0.9563
O14 0.3414 0.3129 0.4570
O15 0.3764 0.7331 0.3463
O16 0.4165 0.6595 0.7284
O17 0.4176 0.1542 0.2294
____________
So much for the data records.

Hopefully, exploring these three areas will help turn the general concept of “feeling upset” into a situation in which you can more clearly define and describe the real issues that need to be addressed. This leads to a feeling of control and well-being when a breakthrough in understanding and coping can be achieved.

3 Tips for Forgiving a Person Who Hurt You

# Misplaced crystal structures
~~~
Entry from Materials Project: a relaxed structure of Ne (GGA-PBE).

Cell and atoms, written as POSCAR:
```
Ne
1.0
4.304 0.000 0.000
0.000 4.304 0.000
0.000 0.000 4.304
Ne
4
direct
0.000 0.000 0.000 Ne
0.000 0.500 0.500 Ne
0.500 0.000 0.500 Ne
0.500 0.500 0.000 Ne
```

Properties
**ΔE_f**: 0.000 eV per atom
**Crystal system**: cubic

Entry from Materials Project: a relaxed structure of NpNi2 (GGA-PBE).

Cell and atoms, written as POSCAR:
```
NpNi2
1.0
0.000 3.460 3.460
3.460 0.000 3.460
3.460 3.460 0.000
Np Ni
2 4
direct
0.125 0.125 0.125 Np
0.875 0.875 0.875 Np
0.000 0.500 0.500 Ni
0.500 0.000 0.500 Ni
0.500 0.500 0.000 Ni
0.500 0.500 0.500 Ni
```

Properties
**ΔE_f**: 0.015 eV per atom
**Crystal system**: cubic

Entry from Materials Project: a relaxed structure of NpSi2Ni (GGA-PBE).

Cell and atoms, written as POSCAR:
```
NpSi2Ni
1.0
4.004 0.000 0.000
0.000 16.163 0.000
0.000 0.000 4.012
Np Si Ni
4 8 4
direct
0.000 0.104 0.250 Np
0.000 0.896 0.750 Np
0.500 0.396 0.750 Np
0.500 0.604 0.250 Np
0.000 0.249 0.750 Si
0.000 0.460 0.250 Si
0.000 0.540 0.750 Si
0.000 0.751 0.250 Si
0.500 0.040 0.750 Si
0.500 0.251 0.250 Si
0.500 0.749 0.750 Si
0.500 0.960 0.250 Si
0.000 0.320 0.250 Ni
0.000 0.680 0.750 Ni
0.500 0.180 0.750 Ni
0.500 0.820 0.250 Ni
```

Properties
**ΔE_f**: -0.499 eV per atom
**Crystal system**: orthorhombic


Here is crystalline P2H24PdC12Br2N6 at its relaxed geometry from the Materials Project. Energies are from PBE-GGA.

Geometry as POSCAR:
```
P2H24PdC12Br2N6
1.0
7.435 0.000 0.000
0.000 12.022 0.000
-6.516 0.000 10.516
P H Pd C Br N
4 48 2 24 4 12
direct
0.088 0.174 0.452
0.088 0.326 0.952
0.912 0.674 0.048
0.912 0.826 0.548
0.025 0.046 0.734
0.025 0.454 0.234
0.051 0.676 0.477
0.051 0.824 0.977
0.093 0.660 0.280
0.093 0.840 0.780
0.175 0.116 0.295
0.175 0.384 0.795
0.176 0.646 0.803
0.176 0.854 0.303
0.234 0.711 0.639
0.234 0.789 0.139
0.252 0.064 0.079
0.252 0.436 0.579
0.276 0.503 0.460
0.276 0.997 0.960
0.388 0.247 0.147
0.388 0.253 0.647
0.395 0.106 0.839
0.395 0.394 0.339
0.456 0.250 0.377
0.456 0.250 0.877
0.475 0.173 0.562
0.475 0.327 0.062
0.525 0.673 0.938
0.525 0.827 0.438
0.544 0.750 0.123
0.544 0.750 0.623
0.605 0.606 0.661
0.605 0.894 0.161
0.612 0.747 0.353
0.612 0.753 0.853
0.724 0.003 0.040
0.724 0.497 0.540
0.748 0.564 0.421
0.748 0.936 0.921
0.766 0.211 0.861
0.766 0.289 0.361
0.824 0.146 0.697
0.824 0.354 0.197
0.825 0.616 0.205
0.825 0.884 0.705
0.907 0.160 0.220
0.907 0.340 0.720
0.949 0.176 0.023
0.949 0.324 0.523
0.975 0.546 0.766
0.975 0.954 0.266
0.000 0.000 0.500
0.000 0.500 0.000
0.011 0.623 0.733
0.011 0.877 0.233
0.066 0.695 0.568
0.066 0.805 0.068
0.070 0.180 0.295
0.070 0.320 0.795
0.234 0.076 0.986
0.234 0.424 0.486
0.351 0.182 0.870
0.351 0.318 0.370
0.359 0.236 0.552
0.359 0.264 0.052
0.641 0.736 0.948
0.641 0.764 0.448
0.649 0.682 0.630
0.649 0.818 0.130
0.766 0.576 0.514
0.766 0.924 0.014
0.930 0.680 0.205
0.930 0.820 0.705
0.934 0.195 0.932
0.934 0.305 0.432
0.989 0.123 0.767
0.989 0.377 0.267
~~~
# Back to the article

How do you react when you are hurt (emotionally) by someone else? Do you store up anger, and feel upset for days, weeks, months or years?  Believe it or not, some people go through a lifetime of resentment, being unable to shift out of feeling upset. Here are 3 tips for forgiving a person who has hurt you.
Tip #1–Ask yourself if the person who hurt you is mentally impaired. If you have been attacked or hurt by a person with addiction, psychiatric disorders, or other impairments, it is helpful to tap into any feelings of compassion for that person. Of course, it is not easy. However, the mentally ill person may have been severely abused as a child, and  may abuse others  as a result of their trauma.

Tip # 2–Acknowledge your anger, hurt or any other feelings. Write your feelings and thoughts in a journal or diary, or talk with a friend or therapist.  Discuss your feelings with the person who hurt you, if they are receptive or able.  If these steps do not work, it may be helpful to acknowledge your feelings, explore any childhood experiences of being hurt that may be activated, and honor your need to heal from being attacked or mistreated. For many, it is necessary to grieve the symbolic or actual loss before true forgiveness can be reached.

What comes next are materials data, not part of the entry:
+++
## P
Li4MnSi2O7: relaxed, GGA+U.

Results
mass density = 2.8 g/cm³

a = 5.4904 Å, b = 13.4886 Å, c = 8.1622 Å
α = 84.63°, β = 90.00°, γ = 90.00°
Closest atoms and distances in Å follow each position.
Element x y z (fractional)
Si 0.3300 0.3653 0.2367  4 O 1.63-1.74
Si 0.8300 0.8653 0.2367  4 O 1.63-1.74
Li 0.3414 0.9219 0.3756  3 O 1.94-2.05
Si 0.1700 0.8653 0.7367  4 O 1.63-1.74
O 0.6867 0.1650 0.0246  1 Si 1.64
Li 0.1774 0.2933 0.5943  4 O 1.93-2.05
O 0.8144 0.9738 0.1049  2 Si 1.71-1.74
O 0.6147 0.3371 0.2701  1 Si 1.63
O 0.1965 0.1068 0.8372  1 Si 1.65
O 0.3144 0.4738 0.1049  2 Si 1.71-1.74
Li 0.1902 0.9952 0.0212  3 O 1.94-2.02
O 0.3157 0.8885 0.9023  1 Si 1.63
O 0.3799 0.0427 0.2053  1 Si 1.64
Mn 0.8385 0.1493 0.7993  4 O 2.05-2.09
O 0.6886 0.7792 0.1401  1 Si 1.66
O 0.1147 0.8371 0.2701  1 Si 1.63
Mn 0.6614 0.6493 0.2992  4 O 2.05-2.09
O 0.6966 0.6068 0.8372  1 Si 1.65
Si 0.6655 0.0738 0.1714  4 O 1.64-1.71
O 0.1201 0.5427 0.7053  1 Si 1.64
O 0.6856 0.4738 0.6049  2 Si 1.71-1.74
Li 0.1452 0.7237 0.4469  4 O 2.01-2.07
Li 0.3547 0.2236 0.9469  4 O 2.01-2.07
Li 0.6902 0.4952 0.0212  3 O 1.94-2.03
O 0.3034 0.6069 0.3372  1 Si 1.65
Si 0.1655 0.5738 0.1713  4 O 1.64-1.71
Si 0.8345 0.5738 0.6713  4 O 1.64-1.71
O 0.3133 0.1650 0.5246  1 Si 1.64
O 0.8132 0.6650 0.5245  1 Si 1.64
O 0.1886 0.2792 0.1401  1 Si 1.66
O 0.8035 0.1068 0.3372  1 Si 1.65
Li 0.6453 0.2236 0.4469  4 O 2.01-2.07
O 0.8114 0.2792 0.6401  1 Si 1.66
Li 0.1586 0.4219 0.8756  3 O 1.94-2.05
Li 0.8098 0.9952 0.5212  3 O 1.94-2.02
Li 0.8414 0.4219 0.3756  3 O 1.94-2.05
O 0.8157 0.3885 0.9023  1 Si 1.63
O 0.8853 0.8371 0.7701  1 Si 1.63
O 0.6201 0.0427 0.7053  1 Si 1.64
O 0.8799 0.5427 0.2053  1 Si 1.64
O 0.6843 0.8885 0.4023  1 Si 1.63
O 0.1843 0.3885 0.4023  1 Si 1.63
Li 0.8548 0.7237 0.9469  4 O 2.01-2.07
O 0.3853 0.3371 0.7701  1 Si 1.63
O 0.1856 0.9738 0.6049  2 Si 1.71-1.74
Li 0.3098 0.4952 0.5212  3 O 1.94-2.03
O 0.1868 0.6650 0.0245  1 Si 1.64
Mn 0.1615 0.1493 0.2993  4 O 2.05-2.09
Si 0.3345 0.0738 0.6714  4 O 1.64-1.71
O 0.3114 0.7792 0.6401  1 Si 1.66
Li 0.8226 0.2933 0.0943  4 O 1.93-2.05
Li 0.3226 0.7934 0.0943  4 O 1.93-2.05
Si 0.6700 0.3653 0.7367  4 O 1.63-1.74
Li 0.6586 0.9219 0.8756  3 O 1.94-2.05
Mn 0.3386 0.6493 0.7992  4 O 2.05-2.09
Li 0.6774 0.7934 0.5943  4 O 1.93-2.05

## Q
Li4MnSi2O7: relaxed, GGA+U.

Results
mass density = 2.8 g/cm³

a = 6.9212 Å, b = 9.5394 Å, c = 9.1898 Å
α = 90.00°, β = 90.00°, γ = 78.33°
Closest atoms and distances in Å follow each position.
Element x y z (fractional)
O 0.2324 0.9477 0.3549  1 Si 1.65
O 0.1139 0.6365 0.3881  1 Si 1.64
O 0.8866 0.8632 0.6381  1 Si 1.65
Li 0.8511 0.2119 0.7476  4 O 1.94-2.07
Si 0.7089 0.4239 0.0051  4 O 1.62-1.73
O 0.1134 0.1368 0.6381  1 Si 1.65
Mn 0.0000 0.5000 0.2512  4 O 2.08
Li 0.4400 0.8504 0.4906  3 O 1.95-1.99
O 0.3416 0.7061 0.6024  1 Si 1.62
O 0.5000 0.0000 0.6587  2 Si 1.72
Li 0.8511 0.7119 0.9975  4 O 1.94-2.07
O 0.7683 0.5525 0.1047  1 Si 1.65
O 0.3426 0.2060 0.3523  1 Si 1.62
+++

Tip #3–Read up on the concept of forgiveness. From what I have learned, forgiveness does not mean that you condone the hurtful behavior of the other person. Rather, it means that you release the anger, and perhaps, explore if there are any positive aspects of this unfortunate experience. This is not an easy journey, and honoring your feelings of anger and hurt is the first step toward healing and moving on.